Empathy is a much-used word these days. We know we should be less judgemental and more empathetic. We know it because it’s taught in schools, it’s the basis of advertising campaigns and religious leaders, life coaches, spruikers and dare I even say ‘influencers’ all having a running commentary about how to be empathetic. They explain in detail the benefits of being an empath. So we constantly have the theory but there seems to be limited evidence of the practice.
Is empathy teachable? Is one born or made empathetic? What does it look like when it’s in action? Can you be empathetic selectively? Do we start empathetic and then have it beaten out of us in the race to be first, rich, perfect, powerful? I’ve never heard the answer, empathetic, when asking what do you want to be when you grow up.
I suspect some, particularly in the public gaze, might think nodding with a sad face is empathy. Flying the flag for a cause might be close. Tut-tutting the great horrors facing human existence is at least feeling something. But is it empathy?
It is defined, in a simple way, as understanding someone else’s perspective and sensing what someone might be feeling or thinking. Which is okay but not particularly useful unless these empathetic thoughts and feelings change our course of action. It is not about changing the other but changing ourselves. If we see injustice, bullying, despair, harm and suffering it is we who must change how we move forward. It is not enough to throw a coin into the bucket but to find a way to eliminate the need for anyone to hold out the bucket.
There are many beautiful and motivating quotes about empathy. They link the need for compassion, action, listening and change in living empathetically.
A personal favourite links empathy to travelling into someone else’s pain like you are entering an unknown country. You walk softly, curiously, respectfully and listen for the cues to show how this world is different from your own. What are its customs and limitations? What can you bring and in some ways what can you take away?
A compassionate world where empathy is the norm must start with each of us eliminating our blindness to, and our disregard of others’ despair.
We think we listen, but very rarely do we listen with real understanding, true empathy. Yet listening, of this very special kind, is one of the most potent forces for change that I know.
Carl Rogers (Psychologist)
And then there is F. I know where some minds might go. Fear, frustration, flippancy,
facetiousness, flustered, fatigued and yes well and truly feckless.
But I’m going with forgiveness. It is another tough one. And equally hard to put into practice sometimes. It is easy to forgive the small infractions because they don’t really matter to us on that visceral level where the big hurts live. The big betrayals, the acts of cruelty and the mercilessness of others live deep in our psyches, and they make it extremely hard to exonerate the dealers of these deeds. But I suspect it is here that forgiveness resides in its highest form.
And some exceptional humans can forgive the greatest slings and arrows, and I admire them. I aspire to be them. I know that hanging on to insult, outrage and personal hurt is only poisoning one person. And it isn’t the doer of the deed. I’ve been more revenge orientated under the worst of the hurts. Not enacted revenge but deeply felt and imagined. Behind the calm face and impassiveness is a raging volcanic desire to bring doom! But as a civilised human I will not cause anyone physical harm, but I have not yet found myself not able to elevate myself to forgive. As pointed out by a learned friend, not wanting to punch someone anymore is not forgiveness. I am a work in progress.
But how extraordinary must it be to say I forgive you and actually mean it. To feel it within the centre of your being. For all the anger and despair to be lifted because you stop drinking the poison of your own fury.
Perhaps we are all works in progress.
Attached: calculated molecules:
'''
Entry 1:
The following is a DFT calculation (ωB97M-V/def2-TZVPD) of a single C31H38N6O2 molecule.

Values from the calculation:
structure (SMILES) = CCc1ccc(-c2cc3c(=O)n(CC(=O)NCCCN4CCC(Cc5ccccc5)CC4)nc(C)n3n2)cc1
energy relative to the best compared isomer or geometry (same formula, charge and spin) = 21.2 kcal per mole
2S+1 = 1
orbital gap = 8.68 eV

XYZ file:
```
77
C31H38N6O2, DFT ωB97M-V/def2-TZVPD
C 7.11572 2.26421 -2.21621
H 8.18164 2.22438 -2.42825
H 6.57225 2.23170 -3.15790
H 6.89343 3.20956 -1.72646
C 6.70228 1.09208 -1.32363
C 5.23060 1.14912 -1.03281
C 4.74758 1.91234 0.02390
C 3.39375 2.00709 0.26810
C 2.48157 1.34799 -0.55410
C 2.96211 0.57052 -1.60478
C 4.31949 0.47458 -1.83588
H 4.67989 -0.13311 -2.65399
H 2.27186 0.03316 -2.23759
C 1.05620 1.51869 -0.33460
N 0.57376 1.95901 0.82727
N -0.73540 2.05654 0.67288
C -1.64458 2.49427 1.60498
N -2.88444 2.57981 1.30221
N -3.32980 2.22429 0.08472
C -2.54265 1.72657 -0.92866
O -3.02392 1.36228 -1.99412
C -1.13688 1.68684 -0.59109
C 0.01153 1.32740 -1.26502
H 0.08203 1.00785 -2.28308
C -4.75865 2.38371 -0.10862
H -5.10635 3.10944 0.62630
H -4.93424 2.73809 -1.12720
C -5.50823 1.05423 0.11942
O -6.18742 0.85901 1.10277
N -5.33690 0.18045 -0.88570
H -4.66914 0.41452 -1.61356
C -5.78804 -1.19034 -0.78864
C -4.68197 -2.10889 -0.26289
H -5.10884 -3.07418 0.00861
H -4.27181 -1.66756 0.64638
C -3.55594 -2.32335 -1.28104
N -2.34338 -2.76320 -0.60862
C -1.54469 -1.63728 -0.16647
C -0.40417 -2.09734 0.73303
C 0.48380 -3.10285 0.00400
C -0.40261 -4.22626 -0.53306
C -1.52691 -3.66374 -1.39760
H -2.15840 -4.48241 -1.75194
H -1.09428 -3.15500 -2.28027
H -0.84609 -4.76481 0.30610
H 0.18944 -4.93038 -1.12112
C 1.57438 -3.66985 0.92706
C 2.61329 -2.64462 1.27882
C 3.74160 -2.48951 0.48328
C 4.71313 -1.55990 0.80452
C 4.55973 -0.75372 1.91842
C 3.43192 -0.88582 2.70860
C 2.47093 -1.83021 2.39516
H 1.60594 -1.94680 3.03244
H 3.30557 -0.25893 3.57930
H 5.31934 -0.03013 2.17286
H 5.59501 -1.46758 0.18824
H 3.86642 -3.11665 -0.38853
H 1.10266 -4.04992 1.83571
H 2.05599 -4.50882 0.41922
H 0.96977 -2.59719 -0.83920
H -0.82937 -2.56949 1.62066
H 0.18381 -1.23114 1.04428
H -2.18978 -0.94931 0.38758
H -1.12988 -1.08883 -1.03348
H -3.86476 -3.09034 -1.99523
H -3.37333 -1.39760 -1.85111
H -6.12443 -1.51984 -1.77478
H -6.63214 -1.19776 -0.09538
C -1.14598 2.87474 2.94959
H -1.98021 3.17492 3.57420
H -0.62496 2.03027 3.39689
H -0.43206 3.69148 2.85825
H 3.01813 2.59945 1.08772
H 5.44472 2.43931 0.66012
H 6.94638 0.15468 -1.82773
H 7.26649 1.13604 -0.38956
```

Entry 2:
The following is a DFT calculation (ωB97M-V/def2-TZVPD) of a molecular structure, C31H38NO2Tc.

Values from the calculation:
total charge = +1
energy relative to the best compared isomer or geometry (same formula, charge and spin) = 0.0 kcal per mole
2S+1 = 4
orbital gap (spin up / spin down) = 7.88 / 5.97 eV

XYZ file:
```
73
C31H38NO2Tc, DFT ωB97M-V/def2-TZVPD
O -0.36847 -1.12960 -3.15583
C -0.50329 -0.02657 -4.18634
C -0.15034 -0.87025 -5.38579
'''
Forgiveness is the fragrance that the violet sheds on the heel that has crushed it.